Work order.
Your job: duplicate the data further down without altering anything.

Contents.
'''
The following is a simulated powder diffraction line list of LiTiV3O8. It was derived from a DFT-relaxed cell (PBE+U, Alexandria), using copper Kα.

Main lines, by angle (2θ from 10° to 80°):
5.061 Å, I = 100; 2.582 Å, I = 17; 2.481 Å, I = 10; 2.183 Å, I = 35; 2.050 Å, I = 15; 1.696 Å, I = 11; 1.516 Å, I = 5; 1.509 Å, I = 7; 1.480 Å, I = 9; 1.444 Å, I = 5

Cell and atoms:
Unit cell a=5.933 b=5.933 c=6.295 alpha=120.73 beta=120.73 gamma=61.49
Sites, in units of the cell vectors:
Li 0.000 0.000 0.000
Ti 0.000 0.000 0.500
V 0.000 0.500 0.500
V 0.500 0.000 0.500
V 0.500 0.500 0.500
O 0.223 0.743 0.699
O 0.237 0.237 0.695
O 0.255 0.255 0.300
O 0.257 0.777 0.301
O 0.743 0.223 0.699
O 0.745 0.745 0.700
O 0.763 0.763 0.305
O 0.777 0.257 0.301


1.
For CaTbPr5, a structure optimized by DFT (GGA-PBE) gives the computed powder diffraction line list in this record (Cu Kα (weighted mean of Kα1 and Kα2)).

Structural model:
Cell lengths 5.5225, 5.5225, 8.8073 Å; angles 90.00, 90.00, 90.00 degrees
Sites, in units of the cell vectors:
1 Ca 0.0000 0.0000 0.0000
2 Tb 0.0000 0.0000 0.5000
3 Pr 0.0000 0.5000 0.2849
4 Pr 0.0000 0.5000 0.7151
5 Pr 0.5000 0.0000 0.2849
6 Pr 0.5000 0.0000 0.7151
7 Pr 0.5000 0.5000 0.0000

Principal peaks in the range 15 to 90 degrees two-theta, by angle:
| d (Å) | I (rel.) | h k l |
| --- | --- | --- |
| 4.679 | 29 | 1 0 1 |
| 2.922 | 100 | 1 1 2 |
| 2.761 | 48 | 2 0 0 |
| 1.952 | 18 | 2 2 0 |
| 1.722 | 14 | 2 0 4 |
| 1.624 | 38 | 3 1 2 |

2.
For Ca2Tb5Pr4, a structure optimized by DFT (GGA-PBE) gives the computed powder diffraction line list in this record (Cu Kα (weighted mean of Kα1 and Kα2)).

Structural model:
Cell lengths 6.3740, 8.1874, 8.1950 Å; angles 107.48, 105.17, 97.52 degrees
Sites, in units of the cell vectors:
1 Ca 0.1346 0.2296 0.0453
2 Ca 0.8654 0.7704 0.9547
3 Tb 0.3254 0.8616 0.7670
4 Tb 0.4157 0.6859 0.1403
5 Tb 0.5000 0.5000 0.5000
6 Tb 0.5843 0.3141 0.8597
7 Tb 0.6746 0.1384 0.2330
8 Pr 0.0492 0.4091 0.6723
9 Pr 0.2347 0.0482 0.4218
10 Pr 0.7653 0.9518 0.5782
11 Pr 0.9508 0.5909 0.3277

Principal peaks in the range 15 to 90 degrees two-theta, by angle:
| d (Å) | I (rel.) | h k l |
| --- | --- | --- |
| 3.005 | 49 | -2 1 1 |
| 2.992 | 97 | 1 2 -2 |
| 2.985 | 49 | 0 2 1 |
| 2.593 | 100 | 1 -3 1 |
| 1.833 | 24 | -2 3 2 |
| 1.562 | 34 | 1 -5 0 |

3.
For Ca2Tb2Pr, a structure optimized by DFT (GGA-PBE) gives the computed powder diffraction line list in this record (Cu Kα (weighted mean of Kα1 and Kα2)).

Structural model:
Cell lengths 9.5355, 9.5355, 3.9769 Å; angles 90.00, 90.00, 90.00 degrees
Sites, in units of the cell vectors:
1 Ca 0.1718 0.3282 0.0000
2 Ca 0.3282 0.8282 0.0000
3 Ca 0.6718 0.1718 0.0000
4 Ca 0.8282 0.6718 0.0000
5 Tb 0.1259 0.6259 0.5000
6 Tb 0.3741 0.1259 0.5000
7 Tb 0.6259 0.8741 0.5000
8 Tb 0.8741 0.3741 0.5000
9 Pr 0.0000 0.0000 0.5000
10 Pr 0.5000 0.5000 0.5000

Principal peaks in the range 15 to 90 degrees two-theta, by angle:
| d (Å) | I (rel.) | h k l |
| --- | --- | --- |
| 4.264 | 40 | 2 1 0 |
| 3.977 | 46 | 0 0 1 |
| 3.015 | 78 | 3 1 0 |
| 2.908 | 100 | 2 1 1 |
| 2.403 | 49 | 3 1 1 |
| 1.660 | 27 | 3 1 2 |

4.
For CaTb3Pr4, a structure optimized by DFT (GGA-PBE) gives the computed powder diffraction line list in this record (Cu Kα (weighted mean of Kα1 and Kα2)).

Structural model:
Cell lengths 7.3201, 7.3414, 10.3345 Å; angles 90.00, 90.00, 90.00 degrees
Sites, in units of the cell vectors:
1 Ca 0.0000 0.0000 0.0000
2 Ca 0.5000 0.0000 0.5000
3 Tb 0.0000 0.5000 0.0000
4 Tb 0.2500 0.2588 0.2500
5 Tb 0.2500 0.7412 0.7500
6 Tb 0.5000 0.5000 0.5000
7 Tb 0.7500 0.2588 0.2500
8 Tb 0.7500 0.7412 0.7500
9 Pr 0.0000 0.0000 0.5000
10 Pr 0.0000 0.5000 0.5000
11 Pr 0.2500 0.2559 0.7500
12 Pr 0.2500 0.7441 0.2500
13 Pr 0.5000 0.0000 0.0000
14 Pr 0.5000 0.5000 0.0000
15 Pr 0.7500 0.2559 0.7500
16 Pr 0.7500 0.7441 0.2500

Principal peaks in the range 15 to 90 degrees two-theta, by angle:
| d (Å) | I (rel.) | h k l |
| --- | --- | --- |
| 2.990 | 100 | 2 0 2 |
| 2.592 | 34 | 2 2 0 |
'''

Result.
The following is a simulated powder diffraction line list of LiTiV3O8. It was derived from a DFT-relaxed cell (PBE+U, Alexandria), using copper Kα.

Main lines, by angle (2θ from 10° to 80°):
5.061 Å, I = 100; 2.582 Å, I = 17; 2.481 Å, I = 10; 2.183 Å, I = 35; 2.050 Å, I = 15; 1.696 Å, I = 11; 1.516 Å, I = 5; 1.509 Å, I = 7; 1.480 Å, I = 9; 1.444 Å, I = 5

Cell and atoms:
Unit cell a=5.933 b=5.933 c=6.295 alpha=120.73 beta=120.73 gamma=61.49
Sites, in units of the cell vectors:
Li 0.000 0.000 0.000
Ti 0.000 0.000 0.500
V 0.000 0.500 0.500
V 0.500 0.000 0.500
V 0.500 0.500 0.500
O 0.223 0.743 0.699
O 0.237 0.237 0.695
O 0.255 0.255 0.300
O 0.257 0.777 0.301
O 0.743 0.223 0.699
O 0.745 0.745 0.700
O 0.763 0.763 0.305
O 0.777 0.257 0.301


1.
For CaTbPr5, a structure optimized by DFT (GGA-PBE) gives the computed powder diffraction line list in this record (Cu Kα (weighted mean of Kα1 and Kα2)).

Structural model:
Cell lengths 5.5225, 5.5225, 8.8073 Å; angles 90.00, 90.00, 90.00 degrees
Sites, in units of the cell vectors:
1 Ca 0.0000 0.0000 0.0000
2 Tb 0.0000 0.0000 0.5000
3 Pr 0.0000 0.5000 0.2849
4 Pr 0.0000 0.5000 0.7151
5 Pr 0.5000 0.0000 0.2849
6 Pr 0.5000 0.0000 0.7151
7 Pr 0.5000 0.5000 0.0000

Principal peaks in the range 15 to 90 degrees two-theta, by angle:
| d (Å) | I (rel.) | h k l |
| --- | --- | --- |
| 4.679 | 29 | 1 0 1 |
| 2.922 | 100 | 1 1 2 |
| 2.761 | 48 | 2 0 0 |
| 1.952 | 18 | 2 2 0 |
| 1.722 | 14 | 2 0 4 |
| 1.624 | 38 | 3 1 2 |

2.
For Ca2Tb5Pr4, a structure optimized by DFT (GGA-PBE) gives the computed powder diffraction line list in this record (Cu Kα (weighted mean of Kα1 and Kα2)).

Structural model:
Cell lengths 6.3740, 8.1874, 8.1950 Å; angles 107.48, 105.17, 97.52 degrees
Sites, in units of the cell vectors:
1 Ca 0.1346 0.2296 0.0453
2 Ca 0.8654 0.7704 0.9547
3 Tb 0.3254 0.8616 0.7670
4 Tb 0.4157 0.6859 0.1403
5 Tb 0.5000 0.5000 0.5000
6 Tb 0.5843 0.3141 0.8597
7 Tb 0.6746 0.1384 0.2330
8 Pr 0.0492 0.4091 0.6723
9 Pr 0.2347 0.0482 0.4218
10 Pr 0.7653 0.9518 0.5782
11 Pr 0.9508 0.5909 0.3277

Principal peaks in the range 15 to 90 degrees two-theta, by angle:
| d (Å) | I (rel.) | h k l |
| --- | --- | --- |
| 3.005 | 49 | -2 1 1 |
| 2.992 | 97 | 1 2 -2 |
| 2.985 | 49 | 0 2 1 |
| 2.593 | 100 | 1 -3 1 |
| 1.833 | 24 | -2 3 2 |
| 1.562 | 34 | 1 -5 0 |

3.
For Ca2Tb2Pr, a structure optimized by DFT (GGA-PBE) gives the computed powder diffraction line list in this record (Cu Kα (weighted mean of Kα1 and Kα2)).

Structural model:
Cell lengths 9.5355, 9.5355, 3.9769 Å; angles 90.00, 90.00, 90.00 degrees
Sites, in units of the cell vectors:
1 Ca 0.1718 0.3282 0.0000
2 Ca 0.3282 0.8282 0.0000
3 Ca 0.6718 0.1718 0.0000
4 Ca 0.8282 0.6718 0.0000
5 Tb 0.1259 0.6259 0.5000
6 Tb 0.3741 0.1259 0.5000
7 Tb 0.6259 0.8741 0.5000
8 Tb 0.8741 0.3741 0.5000
9 Pr 0.0000 0.0000 0.5000
10 Pr 0.5000 0.5000 0.5000

Principal peaks in the range 15 to 90 degrees two-theta, by angle:
| d (Å) | I (rel.) | h k l |
| --- | --- | --- |
| 4.264 | 40 | 2 1 0 |
| 3.977 | 46 | 0 0 1 |
| 3.015 | 78 | 3 1 0 |
| 2.908 | 100 | 2 1 1 |
| 2.403 | 49 | 3 1 1 |
| 1.660 | 27 | 3 1 2 |

4.
For CaTb3Pr4, a structure optimized by DFT (GGA-PBE) gives the computed powder diffraction line list in this record (Cu Kα (weighted mean of Kα1 and Kα2)).

Structural model:
Cell lengths 7.3201, 7.3414, 10.3345 Å; angles 90.00, 90.00, 90.00 degrees
Sites, in units of the cell vectors:
1 Ca 0.0000 0.0000 0.0000
2 Ca 0.5000 0.0000 0.5000
3 Tb 0.0000 0.5000 0.0000
4 Tb 0.2500 0.2588 0.2500
5 Tb 0.2500 0.7412 0.7500
6 Tb 0.5000 0.5000 0.5000
7 Tb 0.7500 0.2588 0.2500
8 Tb 0.7500 0.7412 0.7500
9 Pr 0.0000 0.0000 0.5000
10 Pr 0.0000 0.5000 0.5000
11 Pr 0.2500 0.2559 0.7500
12 Pr 0.2500 0.7441 0.2500
13 Pr 0.5000 0.0000 0.0000
14 Pr 0.5000 0.5000 0.0000
15 Pr 0.7500 0.2559 0.7500
16 Pr 0.7500 0.7441 0.2500

Principal peaks in the range 15 to 90 degrees two-theta, by angle:
| d (Å) | I (rel.) | h k l |
| --- | --- | --- |
| 2.990 | 100 | 2 0 2 |
| 2.592 | 34 | 2 2 0 |